What to do:
Write out the lines below from the one with "-4.0361 0.1855" to the one with "0.0000 2.9532" word for word, please.
Excerpt:
- - -
# 1
4
Lattice="4.3451 -0.0215 0.0568 2.1941 3.7505 0.0568 2.0160 1.1496 10.3833" Properties=species:S:1:pos:R:3 comment="KCa2Au, relaxed, DFT PBE" delta_e_f_kj_per_mol_atoms=-34 e_tot_ev_per_atom=-2.450 de_polymorph_mev_per_atom=3.4 pbc="T T T"
Au 2.1388 1.2196 2.6242
Ca 6.5198 3.7179 1.1174
Ca 4.2969 2.4503 4.2447
K 6.4164 3.6589 7.8727


# 2
5
Lattice="-3.7236 -1.2402 3.5122 -2.7949 -2.3525 -3.7938 2.4621 -4.5460 1.0051" Properties=species:S:1:pos:R:3 comment="HfZnAu3, relaxed, DFT PBE" delta_e_f_kj_per_mol_atoms=62 e_tot_ev_per_atom=-3.569 de_polymorph_mev_per_atom=910.7 pbc="T T T"
Hf 0.0000 0.0000 0.0000
Zn -2.0282 -4.0694 0.3618
Au -1.3974 -1.1763 -1.8969
Au 1.2311 -2.2730 0.5026
Au -1.8618 -0.6201 1.7561


# 3
8
Lattice="-4.0361 0.1855 0.0667 -0.1301 -3.5338 1.9556 0.2961 3.9005 7.0680" Properties=species:S:1:pos:R:3 comment="NpPaRh6, relaxed, DFT PBE" delta_e_f_kj_per_mol_atoms=-63 e_tot_ev_per_atom=-8.966 pbc="T T T"
Np 0.0000 0.0000 0.0000
Pa 0.1480 1.9503 3.5340
Rh -2.0831 -1.6742 1.0112
Rh -1.9350 0.2761 4.5451
Rh -1.9454 1.0499 1.7677
Rh -1.7946 3.0362 5.3670
Rh 0.0076 -0.8098 2.7122
Rh 0.1584 1.1765 6.3114


# 4
12
Lattice="4.8578 0.0000 0.0000 0.0000 7.2178 0.0000 0.0000 0.0000 10.1155" Properties=species:S:1:pos:R:3 comment="NdTm2Pb3, relaxed, DFT PBE" delta_e_f_kj_per_mol_atoms=-42 e_tot_ev_per_atom=-4.575 de_polymorph_mev_per_atom=32.4 pbc="T T T"
Nd 0.0000 6.5621 9.3967
Nd 0.0000 2.9532 0.7187
Tm 0.0000 6.5609 2.9050
Tm 2.4289 1.1387 5.0627
Tm 0.0000 2.9519 7.2105
Tm 2.4289 4.7476 5.0528
Pb 2.4289 0.9144 1.6087
Pb 2.4289 1.3814 8.5069
Pb 0.0000 2.9400 4.0604
Pb 2.4289 4.5233 8.5068
Pb 2.4289 4.9903 1.6086
Pb 0.0000 6.5489 6.0551
- - -
Response:
Lattice="-4.0361 0.1855 0.0667 -0.1301 -3.5338 1.9556 0.2961 3.9005 7.0680" Properties=species:S:1:pos:R:3 comment="NpPaRh6, relaxed, DFT PBE" delta_e_f_kj_per_mol_atoms=-63 e_tot_ev_per_atom=-8.966 pbc="T T T"
Np 0.0000 0.0000 0.0000
Pa 0.1480 1.9503 3.5340
Rh -2.0831 -1.6742 1.0112
Rh -1.9350 0.2761 4.5451
Rh -1.9454 1.0499 1.7677
Rh -1.7946 3.0362 5.3670
Rh 0.0076 -0.8098 2.7122
Rh 0.1584 1.1765 6.3114


# 4
12
Lattice="4.8578 0.0000 0.0000 0.0000 7.2178 0.0000 0.0000 0.0000 10.1155" Properties=species:S:1:pos:R:3 comment="NdTm2Pb3, relaxed, DFT PBE" delta_e_f_kj_per_mol_atoms=-42 e_tot_ev_per_atom=-4.575 de_polymorph_mev_per_atom=32.4 pbc="T T T"
Nd 0.0000 6.5621 9.3967
Nd 0.0000 2.9532 0.7187